Security access control

One of the most important parts of security and surveillance systems is access control, as it allows controlling who can access certain areas or areas of the business. Implementing a good security access control system should be a priority for all companies that want to raise the level of protection of their material and human assets.

Next, we will talk about what security access control is, what types of security cameras can be implemented in your business and what are the main advantages it offers you.

What is security access control and what is it for?

Security access control is a combination of measures and technologies designed to limit and regulate access to specific areas or resources within an enterprise, building, or system. Its primary goal is to protect assets and information, as well as ensure people’s safety, by allowing only authorized access and restricting unauthorized access. A good design of an access control system must respond to three questions in each protected area. Who has access? When do you access? Where can you access?

These types of control systems are also very interesting to ensure control of the workers’ working hours, with a real-time management system that complies with current legal regulations.

security access control

What kind of access controls exist

We can divide the different types of access control into three different modalities.

Autonomous systems

These access control systems work independently, that is, they do not need to be connected to a central system. In general, they have a reader that is connected to a door or access, and that is responsible for managing the entry or exit of specific users.

Although this type of system is easy to implement and use, it usually falls short of meeting current security requirements (it does not record accesses and events that occur, or it does not allow access to be limited based on pre-established schedules).

Centralized systems

In these types of systems, there is electronic hardware that controls and manages multiple access points, they also normally have centralization software, which implies that all control points are interconnected and coordinated in their operations.

The article is interrupted by records of crystals =
+++
# PBE Rb3PbO, optimized geometry
data_Rb3PbO
_space_group_name_H-M_alt 'P 1'
_space_group_IT_number 1
_space_group_name_Hall 'P 1'
_cell_length_a 5.805
_cell_length_b 5.805
_cell_length_c 5.805
_cell_angle_alpha 90.00
_cell_angle_beta 90.00
_cell_angle_gamma 90.00
loop_
_atom_site_label
_atom_site_type_symbol
_atom_site_fract_x
_atom_site_fract_y
_atom_site_fract_z
_atom_site_occupancy
Rb1 Rb 0.500 0.000 0.000 1
Pb1 Pb 0.500 0.500 0.500 1
Rb2 Rb 0.000 0.000 0.500 1
O1 O 0.000 0.000 0.000 1
Rb3 Rb 0.000 0.500 0.000 1
# Formation energy (no corrections), meV per atom: -386

# PBE Rb5Pb2O5, optimized geometry
data_Rb5Pb2O5
_space_group_name_H-M_alt 'P 1'
_space_group_IT_number 1
_space_group_name_Hall 'P 1'
_cell_length_a 4.079
_cell_length_b 6.895
_cell_length_c 11.213
_cell_angle_alpha 106.95
_cell_angle_beta 90.00
_cell_angle_gamma 107.20
loop_
_atom_site_label
_atom_site_type_symbol
_atom_site_fract_x
_atom_site_fract_y
_atom_site_fract_z
_atom_site_occupancy
Rb1 Rb 0.653 0.307 0.054 1
Rb2 Rb 0.753 0.506 0.369 1
Rb3 Rb 0.500 0.000 0.500 1
Pb1 Pb 0.969 0.938 0.209 1
Pb2 Pb 0.031 0.062 0.791 1
O1 O 0.376 0.752 0.219 1
O2 O 0.107 0.214 0.378 1
Rb4 Rb 0.247 0.494 0.631 1
O3 O 0.893 0.786 0.622 1
O4 O 0.624 0.248 0.781 1
Rb5 Rb 0.347 0.693 0.946 1
O5 O 0.000 0.000 0.000 1
# Formation energy (no corrections), meV per atom: -1095

# PBE Rb3Pb2O4, optimized geometry
data_Rb3Pb2O4
_space_group_name_H-M_alt 'P 1'
_space_group_IT_number 1
_space_group_name_Hall 'P 1'
_cell_length_a 6.681
_cell_length_b 8.170
_cell_length_c 8.170
_cell_angle_alpha 99.34
_cell_angle_beta 78.43
_cell_angle_gamma 78.43
loop_
_atom_site_label
_atom_site_type_symbol
_atom_site_fract_x
_atom_site_fract_y
_atom_site_fract_z
_atom_site_occupancy
Pb1 Pb 0.119 0.551 0.807 1
Rb1 Rb 0.466 0.255 0.992 1
Pb2 Pb 0.619 0.807 0.551 1
Rb2 Rb 0.750 0.387 0.613 1
O1 O 0.376 0.717 0.713 1
O2 O 0.609 0.078 0.627 1
O3 O 0.624 0.283 0.287 1
Rb3 Rb 0.966 0.992 0.255 1
O4 O 0.891 0.373 0.922 1
O5 O 0.109 0.627 0.078 1
Pb3 Pb 0.381 0.193 0.449 1
O6 O 0.124 0.287 0.283 1
O7 O 0.876 0.713 0.717 1
O8 O 0.391 0.922 0.373 1
Pb4 Pb 0.881 0.449 0.193 1
Rb4 Rb 0.034 0.008 0.745 1
Rb5 Rb 0.250 0.613 0.387 1
Rb6 Rb 0.534 0.745 0.008 1
# Formation energy (no corrections), meV per atom: -1126

# PBE Rb2PbO2, optimized geometry
data_Rb2PbO2
_space_group_name_H-M_alt 'P 1'
_space_group_IT_number 1
_space_group_name_Hall 'P 1'
_cell_length_a 7.697
_cell_length_b 7.978
_cell_length_c 10.646
_cell_angle_alpha 85.19
_cell_angle_beta 109.55
_cell_angle_gamma 118.83
loop_
_atom_site_label
_atom_site_type_symbol
_atom_site_fract_x
_atom_site_fract_y
_atom_site_fract_z
_atom_site_occupancy
Pb1 Pb 0.602 0.060 0.876 1
Rb1 Rb 0.760 0.268 0.493 1
O1 O 0.195 0.406 0.646 1
Rb2 Rb 0.398 0.433 0.142 1
Rb3 Rb 0.935 0.452 0.170 1
Rb4 Rb 0.065 0.548 0.830 1
Rb5 Rb 0.075 0.067 0.824 1
O2 O 0.934 0.214 0.982 1
Pb2 Pb 0.398 0.940 0.124 1
O3 O 0.659 0.486 0.625 1
O4 O 0.504 0.807 0.006 1
Pb3 Pb 0.695 0.703 0.472 1
+++

This is a type of implementation that provides greater efficiency and allows a more centralized management of accesses and events (a centralized record of all activities related to accesses can be kept at different points or areas of the business).

Distributed systems

With distributed systems, you have an environment for decentralized access control at different points or locations. Each of these points has its own control system and, although they are usually networked, they do not depend on a central system to operate independently.

This distribution is very interesting for companies and environments with multiple sites or separate locations, since it allows greater flexibility in access control.

What are access control technologies


Let’s see which are the technologies most used today in access control systems for companies:

  • Keyboard access. This method requires entering a key on an alphanumeric keypad to open a gate or turnstile. Although it is a very easy system for the user to use, its level of security is not adequate (anyone who knows the password could access it).
  • RFID cards. These cards use radio frequency technology to recognize presence and allow access. With this system, there is no physical wear when passing the card through a reader, since the reading is done by approximation between the card and the reader.
  • Magnetic cards. They contain the access data recorded on a magnetic strip and are used instead of traditional keys. They are a very easy system to activate or deactivate, and allow efficient control, although today they are increasingly in disuse due to wear and/or card demagnetization problems.
  • Fingerprint control. It is one of the most widely used biometric systems, as it is very fast and also offers a high level of security (the user gains access by validating their fingerprint with a specific reader).
  • Face recognition. Another biometric technology that is increasingly popular in access control because it significantly increases the level of security, and because it implements a fast system to manage entrances and exits.
    Access control by smartphone. These are systems with wireless communication protocols such as bluetooth or NFC for identification and access via mobile phones.


Why it is important to have a good access control verification service

Companies that opt for an efficient perimeter protection system need to have adequate access control. Let’s see what are the main benefits of implementing access control with an efficient verification service:

**Unrelated to this article: crystal structures:**
No. 1
Compound: KFe2ReSi
Source: Alexandria
Functional: PBE
Structure: optimized geometry

Lattice parameters (Å, degrees): 4.542 4.542 5.671 90.00 90.00 90.00
Space group P4/mmm (No. 123)
Inequivalent atoms, fractional coordinates:
K 0.000 0.000 0.000 [1 per cell]
Fe 0.000 0.500 0.500 [2 per cell]
Re 0.000 0.000 0.500 [1 per cell]
Si 0.500 0.500 0.000 [1 per cell]



No. 2
Compound: ErAgPbF6
Source: Alexandria
Functional: PBE
Structure: optimized geometry

Lattice parameters (Å, degrees): 5.461 5.461 11.281 90.00 90.00 90.00
Space group P4_2nm (No. 102)
Inequivalent atoms, fractional coordinates:
Er 0.000 0.000 0.000 [2 per cell]
Ag 0.000 0.000 0.665 [2 per cell]
Pb 0.000 0.000 0.335 [2 per cell]
F 0.186 0.186 0.145 [4 per cell]
F 0.186 0.186 0.855 [4 per cell]
F 0.218 0.218 0.491 [4 per cell]



No. 3
Compound: LiPm5Au4
Source: Alexandria
Functional: PBE
Structure: optimized geometry

Lattice parameters (Å, degrees): 3.712 3.712 18.538 90.00 90.00 90.00
Space group P4/mmm (No. 123)
Inequivalent atoms, fractional coordinates:
Li 0.000 0.000 0.000 [1 per cell]
Pm 0.500 0.500 0.107 [2 per cell]
Pm 0.500 0.500 0.302 [2 per cell]
Pm 0.500 0.500 0.500 [1 per cell]
Au 0.000 0.000 0.197 [2 per cell]
Au 0.000 0.000 0.400 [2 per cell]



No. 4
Compound: MgIn3Pt
Source: Alexandria
Functional: PBE
Structure: optimized geometry

Values from the calculation:
- E above lowest polymorph (kJ per mole of atoms) = 0.0

Lattice parameters (Å, degrees): 10.210 8.562 6.875 90.00 126.14 90.00
Space group C2/m (No. 12)
Inequivalent atoms, fractional coordinates:
Mg 0.065 0.000 0.257 [4 per cell]
In 0.080 0.500 0.348 [4 per cell]
In 0.190 0.198 0.732 [8 per cell]
Pt 0.248 0.500 0.895 [4 per cell]



No. 5
Compound: Y3Rh2
Source: Alexandria
Functional: PBE
Structure: optimized geometry

Values from the calculation:
- E above lowest polymorph (kJ per mole of atoms) = 20.6

Lattice parameters (Å, degrees): 3.9600 3.9600 29.2364 90.00 90.00 120.00
Space group R-3m (No. 166, hexagonal axes)
Inequivalent atoms, fractional coordinates:
Y 0.0000 0.0000 0.0000 [3 per cell]
Y 0.0000 0.0000 0.2236 [6 per cell]
Rh 0.0000 0.0000 0.3924 [6 per cell]



No. 6
Compound: Cd4SnPb
Source: Alexandria
Functional: PBE
Structure: optimized geometry

Values from the calculation:
- E above lowest polymorph (kJ per mole of atoms) = 0.9

Lattice parameters (Å, degrees): 8.513 8.513 8.513 90.00 90.00 90.00
Space group F-43m (No. 216)
Inequivalent atoms, fractional coordinates:
Cd 0.125 0.125 0.125 [16 per cell]
Sn 0.250 0.250 0.750 [4 per cell]
Pb 0.000 0.000 0.500 [4 per cell]



No. 7
Compound: SiNiAs
Source: Alexandria
Functional: PBE
Structure: optimized geometry

Lattice parameters (Å, degrees): 5.696 5.696 5.696 90.00 90.00 90.00
Space group F-43m (No. 216)
Inequivalent atoms, fractional coordinates:
Si 0.000 0.000 0.000 [4 per cell]
Ni 0.250 0.250 0.750 [4 per cell]
As 0.000 0.000 0.500 [4 per cell]



No. 8
Compound: Dy3TeCCl
Source: Alexandria
Functional: PBE

Control access in a personalized way

This type of service allows you to customize access to each area or entrance of the company. Different profiles can be configured so that users can only access those areas for which they have authorization.

In this way, people’s security level is raised (it prevents them from accessing risky areas) and the chances of being robbed are minimized.

Comply with regulations

With these control and verification systems, the legally established norms are complied with, such as, for example, the control of the working hours of the workers.

Improve trust and reputation

These types of systems increase the security of employees, customers and anyone who accesses the company, projecting a professional image on the business.

Having a modern and sophisticated system for security access control has become a priority for most companies today. If you need advice on this aspect or on any other security system, do not hesitate and contact us, we will offer you the best service on the market to guarantee that your business enjoys the highest level of security.